Activity:
Duplicate the calculation results further below from the line with "35.92 deg," to the end unchanged.

Material:
-- begin --
Entry 1:
Computed powder XRD pattern
Compound: CrAgPRu2
Radiation: Cu Kα, 1.54184 Å
Structure: a structure optimized by DFT (GGA-PBE)

The 10 most intense peaks (10° ≤ 2θ ≤ 80°), by angle:
19.50 deg, I 5
20.50 deg, I 14
35.32 deg, I 100
39.60 deg, I 25
41.70 deg, I 43
58.85 deg, I 30
60.44 deg, I 14
69.08 deg, I 13
71.98 deg, I 23
74.70 deg, I 14

```
data_CrAgPRu2
_symmetry_space_group_name_H-M 'P 1'
_symmetry_Int_Tables_number 1
_symmetry_space_group_name_Hall 'P 1'
_cell_length_a 4.3322
_cell_length_b 4.3322
_cell_length_c 4.5522
_cell_angle_alpha 90.00
_cell_angle_beta 90.00
_cell_angle_gamma 90.00
loop_
_atom_site_label
_atom_site_fract_x
_atom_site_fract_y
_atom_site_fract_z
Cr1 0.0000 0.0000 0.0000
Ag1 0.5000 0.5000 0.0000
P1 0.5000 0.5000 0.5000
Ru1 0.0000 0.5000 0.5000
Ru2 0.5000 0.0000 0.5000
```

Entry 2:
Computed powder XRD pattern
Compound: CrAg2Pb
Radiation: Cu Kα, 1.54184 Å
Structure: a structure optimized by DFT (GGA-PBE)

The 10 most intense peaks (10° ≤ 2θ ≤ 80°), by angle:
13.60 deg, I 7
25.19 deg, I 14
27.39 deg, I 7
28.73 deg, I 17
35.92 deg, I 59
37.55 deg, I 100
45.76 deg, I 7
51.71 deg, I 20
65.64 deg, I 37
68.82 deg, I 14

```
data_CrAg2Pb
_symmetry_space_group_name_H-M 'P 1'
_symmetry_Int_Tables_number 1
_symmetry_space_group_name_Hall 'P 1'
_cell_length_a 3.5359
_cell_length_b 3.5359
_cell_length_c 6.5115
_cell_angle_alpha 90.00
_cell_angle_beta 90.00
_cell_angle_gamma 90.00
loop_
_atom_site_label
_atom_site_fract_x
_atom_site_fract_y
_atom_site_fract_z
Cr1 0.0000 0.0000 0.0000
Ag1 0.0000 0.0000 0.5551
Ag2 0.5000 0.5000 0.7780
Pb1 0.5000 0.5000 0.2671
```

Entry 3:
Computed powder XRD pattern
Compound: CrAg2Pb
Radiation: Cu Kα, 1.54184 Å
Structure: a structure optimized by DFT (GGA-PBE)

The 10 most intense peaks (10° ≤ 2θ ≤ 80°), by angle:
36.13 deg, I 100
40.80 deg, I 18
41.18 deg, I 17
43.85 deg, I 14
59.36 deg, I 11
61.44 deg, I 10
71.23 deg, I 13
71.76 deg, I 13
75.53 deg, I 11
76.66 deg, I 11

```
data_CrAg2Pb
_symmetry_space_group_name_H-M 'P 1'
_symmetry_Int_Tables_number 1
_symmetry_space_group_name_Hall 'P 1'
_cell_length_a 9.3438
_cell_length_b 4.4234
_cell_length_c 4.3844
_cell_angle_alpha 90.00
_cell_angle_beta 117.90
_cell_angle_gamma 90.00
loop_
_atom_site_label
_atom_site_fract_x
_atom_site_fract_y
_atom_site_fract_z
Cr1 0.0000 0.0000 0.0000
Cr2 0.5000 0.5000 0.0000
Ag1 0.2491 0.0000 0.7489
Ag2 0.4985 0.0000 0.4986
Ag3 0.7491 0.5000 0.7489
Ag4 0.9985 0.5000 0.4986
Pb1 0.2491 0.5000 0.2492
Pb2 0.7491 0.0000 0.2492
```

Entry 4:
Computed powder XRD pattern
Compound: CrAgPt6
Radiation: Cu Kα, 1.54184 Å
Structure: a structure optimized by DFT (GGA-PBE)

The 10 most intense peaks (10° ≤ 2θ ≤ 80°), by angle:
22.43 deg, I 6
22.57 deg, I 3
32.00 deg, I 7
39.46 deg, I 100
45.79 deg, I 33
46.07 deg, I 16
51.60 deg, I 3
56.97 deg, I 2
66.76 deg, I 11
66.98 deg, I 20

```
data_CrAgPt6
_symmetry_space_group_name_H-M 'P 1'
_symmetry_Int_Tables_number 1
_symmetry_space_group_name_Hall 'P 1'
_cell_length_a 3.9632
_cell_length_b 3.9632
_cell_length_c 7.8802
_cell_angle_alpha 90.00
_cell_angle_beta 90.00
_cell_angle_gamma 90.00
loop_
_atom_site_label
_atom_site_fract_x
_atom_site_fract_y
_atom_site_fract_z
Cr1 0.0000 0.0000 0.0000
Ag1 0.0000 0.0000 0.5000
Pt1 0.0000 0.5000 0.2385
Pt2 0.0000 0.5000 0.7615
Pt3 0.5000 0.0000 0.2385
Pt4 0.5000 0.0000 0.7615
Pt5 0.5000 0.5000 0.0000
Pt6 0.5000 0.5000 0.5000
```

Entry 5:
Computed powder XRD pattern
Compound: RbCrAgTe2
Radiation: Cu Kα, 1.54184 Å
Structure: a structure optimized by DFT (GGA-PBE)

The 10 most intense peaks (10° ≤ 2θ ≤ 80°), by angle:
11.42 deg, I 26
25.84 deg, I 100
27.37 deg, I 42
29.50 deg, I 23
34.84 deg, I 22
35.82 deg, I 20
38.61 deg, I 28
44.61 deg, I 15
46.94 deg, I 22
47.46 deg, I 19

```
data_RbCrAgTe2
_symmetry_space_group_name_H-M 'P 1'
_symmetry_Int_Tables_number 1
_symmetry_space_group_name_Hall 'P 1'
_cell_length_a 8.4042
_cell_length_b 8.4042
_cell_length_c 6.5781
_cell_angle_alpha 90.00
_cell_angle_beta 90.00
-- stop --

Written answer:
35.92 deg, I 59
37.55 deg, I 100
45.76 deg, I 7
51.71 deg, I 20
65.64 deg, I 37
68.82 deg, I 14

```
data_CrAg2Pb
_symmetry_space_group_name_H-M 'P 1'
_symmetry_Int_Tables_number 1
_symmetry_space_group_name_Hall 'P 1'
_cell_length_a 3.5359
_cell_length_b 3.5359
_cell_length_c 6.5115
_cell_angle_alpha 90.00
_cell_angle_beta 90.00
_cell_angle_gamma 90.00
loop_
_atom_site_label
_atom_site_fract_x
_atom_site_fract_y
_atom_site_fract_z
Cr1 0.0000 0.0000 0.0000
Ag1 0.0000 0.0000 0.5551
Ag2 0.5000 0.5000 0.7780
Pb1 0.5000 0.5000 0.2671
```

Entry 3:
Computed powder XRD pattern
Compound: CrAg2Pb
Radiation: Cu Kα, 1.54184 Å
Structure: a structure optimized by DFT (GGA-PBE)

The 10 most intense peaks (10° ≤ 2θ ≤ 80°), by angle:
36.13 deg, I 100
40.80 deg, I 18
41.18 deg, I 17
43.85 deg, I 14
59.36 deg, I 11
61.44 deg, I 10
71.23 deg, I 13
71.76 deg, I 13
75.53 deg, I 11
76.66 deg, I 11

```
data_CrAg2Pb
_symmetry_space_group_name_H-M 'P 1'
_symmetry_Int_Tables_number 1
_symmetry_space_group_name_Hall 'P 1'
_cell_length_a 9.3438
_cell_length_b 4.4234
_cell_length_c 4.3844
_cell_angle_alpha 90.00
_cell_angle_beta 117.90
_cell_angle_gamma 90.00
loop_
_atom_site_label
_atom_site_fract_x
_atom_site_fract_y
_atom_site_fract_z
Cr1 0.0000 0.0000 0.0000
Cr2 0.5000 0.5000 0.0000
Ag1 0.2491 0.0000 0.7489
Ag2 0.4985 0.0000 0.4986
Ag3 0.7491 0.5000 0.7489
Ag4 0.9985 0.5000 0.4986
Pb1 0.2491 0.5000 0.2492
Pb2 0.7491 0.0000 0.2492
```

Entry 4:
Computed powder XRD pattern
Compound: CrAgPt6
Radiation: Cu Kα, 1.54184 Å
Structure: a structure optimized by DFT (GGA-PBE)

The 10 most intense peaks (10° ≤ 2θ ≤ 80°), by angle:
22.43 deg, I 6
22.57 deg, I 3
32.00 deg, I 7
39.46 deg, I 100
45.79 deg, I 33
46.07 deg, I 16
51.60 deg, I 3
56.97 deg, I 2
66.76 deg, I 11
66.98 deg, I 20

```
data_CrAgPt6
_symmetry_space_group_name_H-M 'P 1'
_symmetry_Int_Tables_number 1
_symmetry_space_group_name_Hall 'P 1'
_cell_length_a 3.9632
_cell_length_b 3.9632
_cell_length_c 7.8802
_cell_angle_alpha 90.00
_cell_angle_beta 90.00
_cell_angle_gamma 90.00
loop_
_atom_site_label
_atom_site_fract_x
_atom_site_fract_y
_atom_site_fract_z
Cr1 0.0000 0.0000 0.0000
Ag1 0.0000 0.0000 0.5000
Pt1 0.0000 0.5000 0.2385
Pt2 0.0000 0.5000 0.7615
Pt3 0.5000 0.0000 0.2385
Pt4 0.5000 0.0000 0.7615
Pt5 0.5000 0.5000 0.0000
Pt6 0.5000 0.5000 0.5000
```

Entry 5:
Computed powder XRD pattern
Compound: RbCrAgTe2
Radiation: Cu Kα, 1.54184 Å
Structure: a structure optimized by DFT (GGA-PBE)

The 10 most intense peaks (10° ≤ 2θ ≤ 80°), by angle:
11.42 deg, I 26
25.84 deg, I 100
27.37 deg, I 42
29.50 deg, I 23
34.84 deg, I 22
35.82 deg, I 20
38.61 deg, I 28
44.61 deg, I 15
46.94 deg, I 22
47.46 deg, I 19

```
data_RbCrAgTe2
_symmetry_space_group_name_H-M 'P 1'
_symmetry_Int_Tables_number 1
_symmetry_space_group_name_Hall 'P 1'
_cell_length_a 8.4042
_cell_length_b 8.4042
_cell_length_c 6.5781
_cell_angle_alpha 90.00
_cell_angle_beta 90.00